Enhancing Anatomical Pathology with Grossing Stations

Enhancing Anatomical Pathology with Grossing Stations

DFT (ωB97M-V/def2-TZVPD) results for a 9-piece molecular cluster, H18O9 overall.

Positions of all 27 atoms, in Å:
O -0.67 1.05 -0.41
H -0.30 0.25 -0.80
H -1.62 0.95 -0.51
O -3.49 -3.91 -1.56
H -3.56 -4.24 -2.46
H -3.00 -3.09 -1.65
O -2.28 1.95 3.73
H -2.05 2.81 4.11
H -1.42 1.56 3.53
O -0.11 -1.22 1.67
H 0.13 -1.88 2.33
H -0.87 -0.77 2.06
O -0.97 4.67 0.60
H -1.43 5.04 -0.16
H -0.28 5.32 0.79
O 1.81 -3.07 -3.38
H 2.52 -3.71 -3.51
H 2.21 -2.41 -2.80
O 2.61 0.54 2.50
H 2.21 0.14 1.73
H 3.44 0.06 2.61
O 3.13 2.35 -2.28
H 2.20 2.47 -2.49
H 3.54 3.18 -2.56
O -0.46 -2.46 -0.67
H -1.37 -2.70 -0.44
H 0.07 -2.88 0.01

Output
- SMILES string = O.O.O.O.O.O.O.O.O
- lowest unoccupied orbital energy (eV) = 0.26
- frontier orbital gap (eV) = 11.17
- HOMO energy (eV) = -10.91
- ΔE to the lowest compared entry with this formula, charge and spin (kcal per mole) = 74.8

----------

Below is a cluster of 14 separate species, C84H210N14 in total at a distorted geometry, with properties calculated with ωB97M-V with the def2-TZVPD basis set.

Atoms and positions in Å:
1 C 0.8034 -2.1748 -6.0268
2 C 1.3156 -2.3050 -7.4859
3 N 2.7565 -2.3374 -7.6207
4 C 3.3684 -1.0841 -7.1195
5 C 3.0526 0.0705 -8.0968
6 C 3.2441 -3.5689 -7.0382
7 C 4.4349 -4.0749 -7.8407
8 H 1.0453 -1.1531 -5.7341
9 H 1.2744 -2.8824 -5.3445
10 H -0.2780 -2.2904 -5.9527
11 H 0.9095 -3.2617 -7.8142
12 H 0.7656 -1.5354 -8.0274
13 H 3.1693 -0.9275 -6.0593
14 H 4.4202 -1.3701 -7.1211
15 H 2.0637 0.4971 -7.9290
16 H 3.8620 0.8005 -8.0846
17 H 3.0852 -0.3102 -9.1176
18 H 2.5963 -4.4045 -6.7734
19 H 3.6026 -3.2343 -6.0648
20 H 4.7280 -5.0370 -7.4204
21 H 5.2901 -3.3992 -7.8502
22 H 4.1332 -4.3368 -8.8549
23 C 1.8871 2.5330 -5.0589
24 C 1.8318 3.2492 -6.4565
25 N 2.1898 4.6131 -6.1895
26 C 2.5920 5.2674 -7.4509
27 C 3.9651 4.7090 -7.9709
28 C 1.1651 5.3873 -5.4318
29 C 1.7012 6.6659 -4.7854
30 H 1.9295 1.4665 -5.2798
31 H 0.9225 2.6467 -4.5643
32 H 2.6894 2.8649 -4.4000
33 H 2.5111 2.7378 -7.1384
34 H 0.8746 3.0642 -6.9440
35 H 1.8117 5.0741 -8.1870
36 H 2.7054 6.3345 -7.2598
37 H 3.8871 3.7368 -8.4574
38 H 4.4044 5.3984 -8.6920
39 H 4.6423 4.4759 -7.1493
40 H 0.7016 4.7993 -4.6397
41 H 0.2758 5.5160 -6.0488
42 H 1.7025 7.4237 -5.5690
43 H 2.6686 6.5648 -4.2936
44 H 1.0457 6.9792 -3.9728
45 C -3.2775 -0.3302 5.8406
46 C -2.7371 -1.4607 6.7018
47 N -3.7351 -1.6659 7.8015
48 C -3.2677 -2.4984 8.9217
49 C -2.1798 -1.7756 9.7435
50 C -5.0778 -2.2496 7.3646
51 C -5.1374 -3.6165 6.7754
52 H -3.6156 0.5496 6.3882
53 H -4.1374 -0.6310 5.2420
54 H -2.5033 0.0284 5.1623
55 H -2.6657 -2.3771 6.1158
56 H -1.7725 -1.2275 7.1526
57 H -4.1119 -2.7986 9.5425
58 H -2.8724 -3.4208 8.4964
59 H -2.4618 -0.7530 9.9945
60 H -1.9921 -2.3089 10.6754
61 H -1.2076 -1.6298 9.2726
62 H -5.5199 -1.4948 6.7143
63 H -5.8168 -2.2099 8.1648
64 H -4.9335 -4.4016 7.5034
65 H -4.3044 -3.6674 6.0743
66 H -6.0764 -3.8880 6.2931
67 C 5.9937 -2.9996 2.6591
68 C 4.6423 -2.8953 3.4461
69 N 3.4562 -2.8965 2.5857
70 C 3.2485 -1.7032 1.7421

The term ‘grossing’ in pathology refers to inspecting specimens to retrieve diagnostic information and measuring and cutting tissue samples to prepare them for further testing. Therefore, grossing stations are the workstations in laboratories where specimens are examined. In this blog post, we will look at how grossing stations can enhance anatomical pathology, which is the study of organs and tissues to diagnose diseases.

[Data records from another source follow]
********
Record 1
Density functional theory data (ωB97M-V with the def2-TZVPD basis set) for a 2-piece molecular cluster, C3H9NO2 overall at a distorted geometry.

Output
* F_max: 0.0299 Eh/bohr
* highest occupied orbital energy (alpha / beta): -7.07 / -7.31 eV
* gap between HOMO and LUMO (alpha / beta): 0.287 / 0.290 Eh

Each line ends with the Mulliken charge.
Element x y z (Å)
1 C 0.83790 0.44297 1.12891  0.0537
2 C 1.07861 0.38277 -1.17512  -0.5091
3 C -0.96922 -0.90656 -0.40988  -0.7308
4 N -2.07887 -0.02149 -0.56997  -0.4534
5 O 1.66344 0.38034 0.04137  -0.2868
6 O 1.47438 0.13265 2.30709  -0.5053
7 H 1.87946 -0.73880 2.21675  0.3503
8 H -2.32145 0.48457 0.27221  0.2353
9 H -1.96086 0.63408 -1.33023  0.2339
10 H 0.31641 1.39839 1.23585  0.3190
11 H -0.09941 -0.36306 0.62428  0.0775
12 H 0.37140 1.18930 -1.36197  0.2666
13 H 1.77286 0.10865 -1.95739  0.2999
14 H -1.20483 -1.69283 0.31037  0.3242
15 H -0.75983 -1.43097 -1.33226  0.3252


Record 2
Density functional theory data (ωB97M-V with the def2-TZVPD basis set) for a 2-piece molecular cluster, C3H7N3 overall at a distorted geometry.

Output
* SMILES: NC1N=N1.C=C
* F_max: 0.0315 Eh/bohr
* highest occupied orbital energy: -8.88 eV
* gap between HOMO and LUMO: 0.359 Eh

Each line ends with the Mulliken charge.
Element x y z (Å)
1 C -0.66114 1.66275 -0.69370  0.1072
2 N -1.53770 0.64894 -0.31214  -0.5294
3 C 1.39286 -1.10125 0.41151  -0.4589
4 C 0.45621 -2.03036 0.33401  -0.6341
5 N -0.37285 2.80300 0.19023  -0.4147
6 N 0.56049 2.02884 0.16068  -0.0427
7 H -0.45887 1.77036 -1.74956  0.3902
8 H -1.89639 0.75105 0.62910  0.2840
9 H -1.17421 -0.28581 -0.46376  0.2128
10 H 2.03490 -0.86222 -0.41703  0.2519
11 H 1.56458 -0.53988 1.31645  0.2442
12 H 0.28346 -2.58604 -0.57145  0.3025
13 H -0.19132 -2.25938 1.16568  0.2870


Record 3
Density functional theory data (ωB97M-V with the def2-TZVPD basis set) for one molecule with the formula C7H13NO2 at a distorted geometry.

Output
* SMILES: COC(C)(C)[C@]1(C)NC1=O
* F_max: 0.0213 Eh/bohr
* highest occupied orbital energy: -9.32 eV
* gap between HOMO and LUMO: 0.371 Eh

Each line ends with the Mulliken charge.
Element x y z (Å)
1 C 1.15146 0.37178 -2.16164  -0.6901
2 C -0.86473 -1.53364 1.51267  -1.5450
3 C -1.92698 0.54743 -0.19180  -1.9671
4 C 0.23125 1.75506 0.19474  -1.6890
5 N 1.47937 -0.51101 1.20609  -0.4731
6 C 1.31998 -1.44701 0.24163  -0.0222
7 C 0.10205 -0.72381 0.67841  1.0679
8 C -0.40489 0.42760 -0.21134  1.6312
9 O -0.08434 0.02337 -1.58433  -0.4370
10 O 1.87596 -2.35723 -0.29183  -0.5783
11 H 1.76733 -0.64544 2.16135  0.2759
12 H 1.18007 -0.13951 -3.12309  0.2739
13 H 1.24488 1.44967 -2.32984  0.2476
14 H 1.99300 0.02305 -1.55801  0.2910
15 H -1.65809 -1.94497 0.89498  0.3411
16 H -0.33576 -2.37158 1.96697  0.4522
17 H -1.31618 -0.92188 2.29337  0.3163
18 H -2.29180 0.74927 0.81115  0.3604
19 H -2.21306 1.36661 -0.84678  0.4329
20 H -2.38280 -0.36311 -0.56758  0.4261
21 H -0.11210 2.02025 1.19218  0.4386
22 H -0.06984 2.53367 -0.50250  0.4152
********

What is Anatomical Pathology? 

Anatomical pathology is the specialization of studying how diseases develop and spread and their impacts on the body by analyzing tissues and organs. The research is carried out through biochemical, immunological, macroscopic and microscopic examination of the organs and tissues and can involve several procedures.

What are Grossing Stations?

As mentioned above, grossing stations are where specimen samples are inspected, washed, dissected and prepared for further analysis. Previously, grossing stations were left in traditional forms and improved in small stages. However, grossing stations are now designed with the user in mind, offering innovative products and a more efficient place to work.

Customizing your Grossing Station

The grossing process is a manual one that can be onerous and requires a high level of skill from the pathologist. Therefore having the right working environment is an essential factor in how the job is carried out. The type of grossing station required can vary between individuals, as every experienced pathologist will have their working environment preferences and specific methodologies they use. 

Manual tasks rely heavily on the person carrying them out, so their expertise and preferences will impact the role. Suppose a workspace can be customized to suit the needs and preferences of the pathologist. In that case, this will positively impact the anatomical pathology procedures and the laboratory as a whole.

It is important to note that although individuals have their preferences, laboratories will need the equipment to fit their workflow. Laboratory safety is still the primary factor in grossing station specifications.


One of the critical factors to consider when customizing your grossing station is ergonomics. Ergonomics defines the study of people within their working environment and how the equipment can be suitable for the worker. This is important as it reduces the risk of discomfort and injuries in the workplace, especially musculoskeletal disorders (MSDs).

To reduce the risk of MSDs in pathologists, it is crucial to consider the following factors of a grossing station:

  • Ingress routes: The way that the system is accessed and what heights they are at.
  • Reach zone: Is the lab equipment within the natural reach of the pathologist? If not, this could cause problems and reduce the efficiency of the process. If hands-free control is available for specific aspects of the grossing station, it would be helpful to implement it.
  • Station height: An adjustable work surface that can support all body heights is the most practical solution for a grossing station. This flexibility enables the grossing processing to be carried out comfortably regardless of the pathologist’s height and reduces the risk of back injuries.
  • Work area: The pathologist needs adequate space to work, and the station features must be installed in practical positions that do not require exertion or inhibit workflow. 

The benefits of customizing a grossing workstation with ergonomics in mind can significantly reduce the risk of injuries in the workplace, make the working environment more comfortable for personnel and ultimately increase process efficiency.